Cecile Wesolowski

Handmade bouquets of flowers from golden thermal rescue blanks cling to walls and floors, moving projections on a reflective glass mosaic and throw dazzling facets on the walls of the room. Complementary fine reminiscences of global pop culture melt into psychedelic videos. Renaissance meets the Japanese tradition, is expanded with geological phenomena and enriched with a pinch of current policy. This is the first time we have played these games, just like it should be on Planet POP.

Welcome to the multimedia-based world of French artist Cecile Wesolowski. An artistic world in which the viewer can be immersed in a fluctuating plasma, concentrated enriched with new experiences and surprising associations. In today's reality the world of production, information, illusion and virtuality work like a fluid, that flexibly inflates the spaces in between materiality and overcomes seemingly effortless previous distinctions and expands reality exponentially. Right now this liquidity of life is not only palpable and more important. Jean Baudrillard: The reality as it was invented in the race of the last centuries and which we have raised to the principle, it is on the way of the resolution.

Cécile Wesolowski Anthropocene from this perspective in a new way, exaggerates them and at the same time, excessively questions them. Following this understanding her immersive installations in the exhibition space are representations of reality loosing its limits. Thereby he works also inevitably lead to simulations of the current simulation in society.

=====
Record 1
Dy3C2: relaxed, PBE-GGA.

Calculated values
DFT total energy = -33.676 eV/cell

Unit cell a=3.6184 b=3.6184 c=9.2646 alpha=90.00 beta=90.00 gamma=120.00
Element x y z (fractional)
Dy1 0.0000 0.0000 0.0000
Dy2 0.3333 0.6667 0.2965
Dy3 0.6667 0.3333 0.7035
C1 0.3333 0.6667 0.8274
C2 0.6667 0.3333 0.1726



Record 2
NdSc2S3: relaxed, PBE-GGA.

Calculated values
formation energy (no corrections) = -1.34 eV/atom
DFT total energy = -75.718 eV/cell

Unit cell a=5.6919 b=7.6896 c=7.6896 alpha=101.82 beta=90.00 gamma=90.00
Element x y z (fractional)
Nd1 0.2500 0.3993 0.6007
Nd2 0.7500 0.6007 0.3993
Sc1 0.0000 0.1776 0.1776
Sc2 0.5000 0.1776 0.1776
Sc3 0.0000 0.8224 0.8224
Sc4 0.5000 0.8224 0.8224
S1 0.7500 0.0970 0.9030
S2 0.7500 0.2362 0.4484
S3 0.2500 0.4484 0.2362
S4 0.7500 0.5516 0.7638
S5 0.2500 0.7638 0.5516
S6 0.2500 0.9030 0.0970



Record 3
CdReNiHg2: relaxed, PBE-GGA.

Calculated values
DFT total energy = -13.258 eV/cell

Unit cell a=4.9020 b=4.8845 c=4.9020 alpha=90.00 beta=90.00 gamma=90.00
Last column: magnetic moment on the atom in μB.
Element x y z (fractional)
Re1 0.5000 0.5000 0.5000  3.49
Ni1 0.0000 0.0000 0.0000  0.10
Hg1 0.0000 0.0000 0.5000  -0.01
Hg2 0.5000 0.0000 0.0000  0.02
Cd1 0.0000 0.5000 0.0000  -0.02



Record 4
Nd2Ga8Ni: relaxed, PBE-GGA.

Calculated values
DFT total energy = -44.815 eV/cell

Unit cell a=4.3324 b=4.3324 c=11.3559 alpha=90.00 beta=90.00 gamma=90.00
Element x y z (fractional)
Nd1 0.0000 0.0000 0.3043
Nd2 0.0000 0.0000 0.6957
Ga1 0.0000 0.5000 0.5000
Ga2 0.5000 0.0000 0.5000
Ga3 0.5000 0.5000 0.3077
Ga4 0.5000 0.5000 0.6923
Ga5 0.0000 0.5000 0.1152
Ga6 0.5000 0.0000 0.1152
Ga7 0.0000 0.5000 0.8848
Ga8 0.5000 0.0000 0.8848
Ni1 0.0000 0.0000 0.0000

* * * * *

Ca4Pa3FeN8 | PBE | optimized geometry

space-group type: R-3m (166)
E: -8.19 eV per atom
density: 7083 kg/m³
V: 239 Å³ per cell

The structure in POSCAR format:
```
Ca4Pa3FeN8
1.0
6.971 0.000 0.000
0.000 6.967 -0.009
-3.485 -3.482 4.935
Fe Pa N Ca
1 3 8 4
direct
0.000 0.500 0.000
0.500 0.500 0.500
0.500 0.500 0.000
0.000 0.500 0.500
0.740 0.721 0.480
0.249 0.718 0.498
0.720 0.718 0.969
0.751 0.282 0.502
0.260 0.279 0.520
0.751 0.282 0.031
0.249 0.718 0.969
0.280 0.282 0.031
0.000 0.000 0.000
0.500 0.000 0.000
0.500 0.000 0.500
0.000 0.000 0.500
```



TbTm4As5 | PBE | optimized geometry

space-group type: I4/m (87)
E: -6.09 eV per atom
density: 8368 kg/m³
calculated formation energy: -145.9 kJ per mole of atoms
V: 240 Å³ per cell

The structure in POSCAR format:
```
TbTm4As5
1.0
5.197 0.000 2.507
2.599 6.449 1.253
-0.203 0.000 7.062
As Tb Tm
5 1 4
direct
0.303 0.798 0.597
0.102 0.597 0.202
0.501 0.000 0.000
0.900 0.403 0.798
0.699 0.202 0.403
0.001 0.000 0.000
0.801 0.801 0.599
0.201 0.199 0.401
0.400 0.401 0.801
0.602 0.599 0.199
```



Cs2RbBeP2 | PBE | optimized geometry

space-group type: Ibam (72)
E: -3.09 eV per atom
density: 2483 kg/m³
calculated formation energy: -21.3 kJ per mole of atoms
V: 565 Å³ per cell
=====

With lots of imagination and humor, she, plays, inflatable bath toys or rhinestone accessories amazingly in scene, so that the formerly profane consumer objects suddenly suggest gloss, glamor and value. Or she combines tactile materials such as glass, plastic and folded metal with intangible light plays and projections of various kinds, like from headlights, LED light sources, movies or digital animations. In doing so the artist succeeds to lead the illusion of her productions back to the human hand and back to the tangible materiality in an enlightened manner. So she gives the viewer the chance to experience the ambivalence of Brave New World.

Cecile Wesolowski was born in 1982, in the Cross, France and was educated, among others, at the fine art school of the region of the Hauts de France (ERSEP) and the University of Venice at the class of Giorgio Agamben. She participated in solo and group exhibitions in Germany and abroad and lives in Potsdam.